**Wanted**
The reader should quote the data below from the line with "43.0 deg," to the end word for word.

**Listing**
********
For Tb2Pr3Hg6, the PBE geometry in Alexandria gives the theoretical XRD peak list in this record (Cu Kα (weighted mean of Kα1 and Kα2)).
Intensities are scaled so that the largest is 100.

Main lines, sorted by position (2θ = 15–90°):
hkl 0 0 8, 21.3 deg, intensity 40
hkl 1 1 2, 28.5 deg, intensity 100
hkl 1 0 9, 31.3 deg, intensity 31
hkl 1 1 6, 32.4 deg, intensity 69
hkl 1 1 8, 35.5 deg, intensity 59
hkl 1 0 11, 35.8 deg, intensity 68
hkl 2 0 0, 40.1 deg, intensity 85
hkl 2 1 11, 54.8 deg, intensity 41
hkl 2 2 0, 57.9 deg, intensity 29
hkl 1 1 22, 68.8 deg, intensity 25

Cell and atoms:
Lattice parameters (Å, degrees): 4.502 4.502 33.221 90.00 90.00 90.00
Space group I4/mmm (No. 139)
Inequivalent atoms, fractional coordinates:
Tb: 0.000 0.000 0.129 (multiplicity 4)
Pr: 0.000 0.000 0.318 (multiplicity 4)
Pr: 0.000 0.000 0.500 (multiplicity 2)
Hg: 0.000 0.000 0.220 (multiplicity 4)
Hg: 0.000 0.500 0.069 (multiplicity 8)

For LiLa2Sb4Pd3, the PBE geometry in Alexandria gives the theoretical XRD peak list in this record (Cu Kα (weighted mean of Kα1 and Kα2)).
Intensities are scaled so that the largest is 100.

Main lines, sorted by position (2θ = 15–90°):
hkl 1 1 0, 27.4 deg, intensity 24
hkl 1 0 3, 31.1 deg, intensity 78
hkl 1 1 2, 32.0 deg, intensity 100
hkl 2 0 0, 39.2 deg, intensity 77
hkl 1 1 4, 43.0 deg, intensity 29
hkl 1 0 5, 45.5 deg, intensity 36
hkl 2 1 3, 50.9 deg, intensity 39
hkl 2 2 0, 56.7 deg, intensity 26
hkl 2 1 5, 61.6 deg, intensity 29
hkl 3 1 2, 66.5 deg, intensity 24

Cell and atoms:
Lattice parameters (Å, degrees): 4.595 4.595 11.053 90.00 90.00 90.00
Space group P-4m2 (No. 115)
Inequivalent atoms, fractional coordinates:
Li: 0.000 0.000 0.000 (multiplicity 1)
La: 0.000 0.500 0.757 (multiplicity 2)
Sb: 0.000 0.000 0.500 (multiplicity 1)
Sb: 0.000 0.500 0.132 (multiplicity 2)
Sb: 0.500 0.500 0.500 (multiplicity 1)
Pd: 0.000 0.500 0.370 (multiplicity 2)
Pd: 0.500 0.500 0.000 (multiplicity 1)

For K5SnBi3, the PBE geometry in Alexandria gives the theoretical XRD peak list in this record (Cu Kα (weighted mean of Kα1 and Kα2)).
Intensities are scaled so that the largest is 100.

Main lines, sorted by position (2θ = 15–90°):
hkl 1 0 -4, 18.3 deg, intensity 93
hkl 0 2 0, 19.8 deg, intensity 87
hkl 2 1 -2, 20.0 deg, intensity 100
hkl 1 1 2, 20.8 deg, intensity 99
hkl 2 1 1, 25.8 deg, intensity 53
hkl 1 2 2, 27.1 deg, intensity 68
hkl 1 2 -4, 27.1 deg, intensity 86
hkl 3 0 0, 30.8 deg, intensity 55
hkl 3 0 -6, 30.8 deg, intensity 51
hkl 0 0 6, 32.5 deg, intensity 96

Cell and atoms:
Lattice parameters (Å, degrees): 10.234 8.950 19.427 90.00 121.70 90.00
Space group P2_1/c (No. 14)
Inequivalent atoms, fractional coordinates:
K: 0.053 0.006 0.245 (multiplicity 4)
K: 0.241 0.519 0.577 (multiplicity 4)
K: 0.335 0.661 0.261 (multiplicity 4)
K: 0.345 0.179 0.922 (multiplicity 4)
K: 0.378 0.003 0.586 (multiplicity 4)
Sn: 0.017 0.146 0.588 (multiplicity 4)
Bi: 0.016 0.192 0.433 (multiplicity 4)
Bi: 0.261 0.734 0.419 (multiplicity 4)
Bi: 0.315 0.238 0.731 (multiplicity 4)

For Sr2SnSb4, the PBE geometry in Alexandria gives the theoretical XRD peak list in this record (Cu Kα (weighted mean of Kα1 and Kα2)).
Intensities are scaled so that the largest is 100.

Main lines, sorted by position (2θ = 15–90°):
hkl 1 0 2, 25.1 deg, intensity 43
hkl 1 1 1, 29.3 deg, intensity 17
hkl 0 0 4, 30.4 deg, intensity 25
hkl 1 1 2, 32.2 deg, intensity 100
hkl 1 0 4, 36.6 deg, intensity 17
hkl 2 0 0, 40.5 deg, intensity 41
hkl 1 1 4, 42.0 deg, intensity 17
hkl 1 0 5, 43.5 deg, intensity 17
hkl 2 0 4, 51.4 deg, intensity 15
hkl 3 1 2, 68.4 deg, intensity 22

Cell and atoms:
Lattice parameters (Å, degrees): 4.458 4.458 11.769 90.00 90.00 90.00
Space group P-4m2 (No. 115)
Inequivalent atoms, fractional coordinates:
Sr: 0.000 0.500 0.226 (multiplicity 2)
Sn: 0.000 0.000 0.500 (multiplicity 1)
Sb: 0.000 0.000 0.000 (multiplicity 1)
Sb: 0.000 0.500 0.658 (multiplicity 2)
Sb: 0.500 0.500 0.000 (multiplicity 1)

~~~~~

[1]
********

**Done**
hkl 1 1 4, 43.0 deg, intensity 29
hkl 1 0 5, 45.5 deg, intensity 36
hkl 2 1 3, 50.9 deg, intensity 39
hkl 2 2 0, 56.7 deg, intensity 26
hkl 2 1 5, 61.6 deg, intensity 29
hkl 3 1 2, 66.5 deg, intensity 24

Cell and atoms:
Lattice parameters (Å, degrees): 4.595 4.595 11.053 90.00 90.00 90.00
Space group P-4m2 (No. 115)
Inequivalent atoms, fractional coordinates:
Li: 0.000 0.000 0.000 (multiplicity 1)
La: 0.000 0.500 0.757 (multiplicity 2)
Sb: 0.000 0.000 0.500 (multiplicity 1)
Sb: 0.000 0.500 0.132 (multiplicity 2)
Sb: 0.500 0.500 0.500 (multiplicity 1)
Pd: 0.000 0.500 0.370 (multiplicity 2)
Pd: 0.500 0.500 0.000 (multiplicity 1)

For K5SnBi3, the PBE geometry in Alexandria gives the theoretical XRD peak list in this record (Cu Kα (weighted mean of Kα1 and Kα2)).
Intensities are scaled so that the largest is 100.

Main lines, sorted by position (2θ = 15–90°):
hkl 1 0 -4, 18.3 deg, intensity 93
hkl 0 2 0, 19.8 deg, intensity 87
hkl 2 1 -2, 20.0 deg, intensity 100
hkl 1 1 2, 20.8 deg, intensity 99
hkl 2 1 1, 25.8 deg, intensity 53
hkl 1 2 2, 27.1 deg, intensity 68
hkl 1 2 -4, 27.1 deg, intensity 86
hkl 3 0 0, 30.8 deg, intensity 55
hkl 3 0 -6, 30.8 deg, intensity 51
hkl 0 0 6, 32.5 deg, intensity 96

Cell and atoms:
Lattice parameters (Å, degrees): 10.234 8.950 19.427 90.00 121.70 90.00
Space group P2_1/c (No. 14)
Inequivalent atoms, fractional coordinates:
K: 0.053 0.006 0.245 (multiplicity 4)
K: 0.241 0.519 0.577 (multiplicity 4)
K: 0.335 0.661 0.261 (multiplicity 4)
K: 0.345 0.179 0.922 (multiplicity 4)
K: 0.378 0.003 0.586 (multiplicity 4)
Sn: 0.017 0.146 0.588 (multiplicity 4)
Bi: 0.016 0.192 0.433 (multiplicity 4)
Bi: 0.261 0.734 0.419 (multiplicity 4)
Bi: 0.315 0.238 0.731 (multiplicity 4)

For Sr2SnSb4, the PBE geometry in Alexandria gives the theoretical XRD peak list in this record (Cu Kα (weighted mean of Kα1 and Kα2)).
Intensities are scaled so that the largest is 100.

Main lines, sorted by position (2θ = 15–90°):
hkl 1 0 2, 25.1 deg, intensity 43
hkl 1 1 1, 29.3 deg, intensity 17
hkl 0 0 4, 30.4 deg, intensity 25
hkl 1 1 2, 32.2 deg, intensity 100
hkl 1 0 4, 36.6 deg, intensity 17
hkl 2 0 0, 40.5 deg, intensity 41
hkl 1 1 4, 42.0 deg, intensity 17
hkl 1 0 5, 43.5 deg, intensity 17
hkl 2 0 4, 51.4 deg, intensity 15
hkl 3 1 2, 68.4 deg, intensity 22

Cell and atoms:
Lattice parameters (Å, degrees): 4.458 4.458 11.769 90.00 90.00 90.00
Space group P-4m2 (No. 115)
Inequivalent atoms, fractional coordinates:
Sr: 0.000 0.500 0.226 (multiplicity 2)
Sn: 0.000 0.000 0.500 (multiplicity 1)
Sb: 0.000 0.000 0.000 (multiplicity 1)
Sb: 0.000 0.500 0.658 (multiplicity 2)
Sb: 0.500 0.500 0.000 (multiplicity 1)

~~~~~

[1]